Our green bins’ ‘dirty little secret’
In the December 6 issue of the Glebe Report, I read with interest Jennifer Humphries’ account of her guided tour with Shawn Menard and other city councillors of the industrial plants that process the contents of our blue and black recycling bins. As a minerals exploration geologist, I have long had an interest in how raw materials are processed and have taken every opportunity to tour such plants. Memorable visits have included the old E. B. Eddy paper mill at the Chaudière Falls, the gold mill of the historic Dome Mine at Timmins, and the diamond-recovery plants of the Ekati and Diavik mines in Nunavut.
Humphries mentions that the tour group hopes also to visit the Renewi organics composting site operated by Orgaworld Canada Ltd. on Hawthorne Road in the east end of Ottawa. If the tour goes ahead, she may be as surprised and upset as I was when I discovered what actually happens to our green bin contents and yard waste.
== Inserted here: crystal structures ==
-- begin --
# 1
A relaxed structure of CaTc2Mo, computed with PBE.

Cell lengths 4.613, 4.613, 3.158 Å; angles 90.00, 90.00, 90.00 degrees
Space group P4/mmm (No. 123)
One atom of each set of equivalent atoms:
Ca  0.000  0.000  0.000 [1 per cell]
Tc  0.000  0.500  0.500 [2 per cell]
Mo  0.500  0.500  0.000 [1 per cell]

**Formation enthalpy at 0 K**: 57.2 kJ/mol of atoms
**Distance to the lowest polymorph of the same formula**: 1.077 eV/f.u.

# 2
A relaxed structure of CsNaCuS2, computed with PBE.

Cell lengths 7.035, 14.688, 5.835 Å; angles 90.00, 90.00, 90.00 degrees
Space group Cmme (No. 67)
One atom of each set of equivalent atoms:
Cs  0.000  0.250  0.250 [4 per cell]
Na  0.250  0.000  0.000 [4 per cell]
Cu  0.000  0.000  0.500 [4 per cell]
S  0.000  0.106  0.744 [8 per cell]

**E_form (uncorrected)**: -653 meV per atom

----------

Compound: Ti3Ni3Te2O16
Source: Alexandria via LeMat-Bulk
Functional: PBE with a Hubbard U
Structure: relaxed

a = 6.0114 Å, b = 6.0114 Å, c = 9.2142 Å
α = 88.82°, β = 88.82°, γ = 58.91°
Site moments in Bohr magnetons follow the coordinates.
Atoms (fractional coordinates):
O (0.0374, 0.4667, 0.1498)  0.04
O (0.4667, 0.0374, 0.1498)  0.04
Ni (0.8280, 0.8280, 0.7948)  1.75
O (0.1827, 0.1827, 0.8924)  0.00
Ti (0.1576, 0.1576, 0.2815)  0.03
Ti (0.8356, 0.3380, 0.7909)  0.01
O (0.5266, 0.5266, 0.6530)  0.00
O (0.8376, 0.3597, 0.3970)  0.02
Te (0.3373, 0.3373, 0.0160)  0.01
O (0.0055, 0.0055, 0.7043)  0.02
Ni (0.1632, 0.6572, 0.2921)  1.29
O (0.6540, 0.1807, 0.9029)  0.02
O (0.3597, 0.8376, 0.3970)  0.02
O (0.3329, 0.3329, 0.3875)  -0.33
O (0.6498, 0.6498, 0.9002)  0.02
O (0.4742, 0.4742, 0.1642)  -0.10
Te (0.6746, 0.6746, 0.5114)  0.01
O (0.9931, 0.9931, 0.1997)  -0.12
O (0.1807, 0.6540, 0.9029)  0.02
O (0.8388, 0.8388, 0.4092)  -0.04
O (0.5111, 0.9580, 0.6522)  0.03
Ti (0.3380, 0.8356, 0.7909)  0.01
Ni (0.6572, 0.1632, 0.2921)  1.29
O (0.9580, 0.5111, 0.6522)  0.03

Computed properties:
DOS(E_F)	0.4	states/eV/f.u.
total energy	-6.49	eV/atom
symmetry	Cm, No. 8

----------

A geometry-optimized SrMnFe structure, computed with GGA-PBE.

Summary:
Electronic total energy: -5.89 eV per atom
Crystal system: hexagonal
Magnetic moment: 1.016 Bohr magnetons per cell
Symmetry: P-6m2 (187)

Cell and atoms, written as POSCAR:
```
SrMnFe
1.0
-1.319 -1.536 -3.314
3.748 0.958 0.340
1.028 -4.640 1.742
Fe Mn Sr
1 1 1
direct
0.000 0.000 0.167 Fe
0.667 0.333 0.167 Mn
0.333 0.667 0.667 Sr
```

----------

Rb2CrAsF6 (PBE with a Hubbard U, optimized geometry); density of states at the Fermi level = 0.4549 states/eV/atom; mass density = 3.88 g/cm3; total energy = -4.80 eV per atom; total moment = 0.500 μB per atom
1.0
-3.151 3.151 4.437
3.151 -3.151 4.437
3.151 3.151 -4.437
Rb Cr As F
2 1 1 6
direct
0.250 0.750 0.500 Rb
0.750 0.250 0.500 Rb
0.000 0.000 0.000 Cr
0.500 0.500 0.000 As
0.229 0.229 0.458 F
0.229 0.771 0.000 F
0.271 0.271 0.000 F
0.729 0.729 0.000 F
0.771 0.229 0.000 F
0.771 0.771 0.542 F
-- stop --
Compost – what used to happen
For years I had been taking my pickup truck to the Trail Road site, where our yard waste was formerly processed, to buy a load of compost for my lawn and garden. Their composting process was simple and environmentally benign. Yard waste was piled in “windrows” 50 to 100 metres long and of a sufficient height (about 3 metres) to attain the core temperature required for composting – the piles were visibly steaming!
To ensure that all the yard waste reached these temperatures, the piles were periodically turned by a front-end loader. When fully cured, the compost was screened to remove any uncured bits coarser than one to two centimetres. It was then moved to a new pile where customers could load it. The product was wonderful black organic soil completely free of viable weed seeds and almost devoid of plastic and other foreign matter. A full pickup load cost only $25!
• Inserted here: materials data:
(1)
# GeSbSe2

A crystal of GeSbSe2 relaxed with PBEsol (SCAN, Alexandria via LeMat-Bulk).

## Properties
uncorrected formation energy	0.198	eV per atom
uncorrected energy	-23.93	eV/atom
space-group type	Fm-3m (225)

Cell lengths 6.9786, 6.9786, 6.9786 Å; angles 90.00, 90.00, 90.00 degrees
Fractional positions:
Ge 0.0000 0.0000 0.0000
Ge 0.0000 0.5000 0.5000
Ge 0.5000 0.0000 0.5000
Ge 0.5000 0.5000 0.0000
Sb 0.0000 0.0000 0.5000
Sb 0.0000 0.5000 0.0000
Sb 0.5000 0.0000 0.0000
Sb 0.5000 0.5000 0.5000
Se 0.2500 0.2500 0.2500
Se 0.2500 0.2500 0.7500
Se 0.2500 0.7500 0.2500
Se 0.2500 0.7500 0.7500
Se 0.7500 0.2500 0.2500
Se 0.7500 0.2500 0.7500
Se 0.7500 0.7500 0.2500
Se 0.7500 0.7500 0.7500

(2)
# SnPdC3

A crystal of SnPdC3 relaxed with PBEsol (SCAN, Alexandria via LeMat-Bulk).

## Properties
uncorrected energy	-17.20	eV/atom
space-group type	Pm-3m (221)
E above lowest polymorph	0	meV per atom
energy of formation	2.596	eV per atom

Cell lengths 4.0383, 4.0383, 4.0383 Å; angles 90.00, 90.00, 90.00 degrees
Fractional positions:
Sn 0.0000 0.0000 0.0000
Pd 0.5000 0.5000 0.5000
C 0.0000 0.5000 0.5000
C 0.5000 0.0000 0.5000
C 0.5000 0.5000 0.0000

(3)
# CdH2RhBr

A crystal of CdH2RhBr relaxed with PBEsol (SCAN, Alexandria via LeMat-Bulk).

## Properties
uncorrected energy	-17.38	eV/atom
space-group type	P4/mmm (123)

Cell lengths 3.7360, 3.7360, 5.0978 Å; angles 90.00, 90.00, 90.00 degrees
Fractional positions:
Cd 0.0000 0.0000 0.0000
H 0.0000 0.5000 0.5000
H 0.5000 0.0000 0.5000
Rh 0.5000 0.5000 0.0000
Br 0.5000 0.5000 0.5000

(4)
# PRh

A crystal of PRh relaxed with PBEsol (SCAN, Alexandria via LeMat-Bulk).

## Properties
uncorrected energy	-22.50	eV/atom
space-group type	Cmcm (63)
energy of formation	-0.413	eV per atom

Cell lengths 3.0043, 10.2723, 3.5167 Å; angles 90.00, 90.00, 90.00 degrees
Fractional positions:
P 0.0000 0.1644 0.2500
P 0.0000 0.8356 0.7500
P 0.5000 0.3356 0.7500
P 0.5000 0.6644 0.2500
Rh 0.0000 0.3958 0.2500
Rh 0.0000 0.6042 0.7500
Rh 0.5000 0.1042 0.7500
Rh 0.5000 0.8958 0.2500

(5)
# La2Cd2In

A crystal of La2Cd2In relaxed with PBEsol (SCAN, Alexandria via LeMat-Bulk).

## Properties
uncorrected energy	-36.58	eV/atom
space-group type	P4/mbm (127)
energy of formation	-0.495	eV per atom

Cell lengths 7.5104, 7.5104, 4.9016 Å; angles 90.00, 90.00, 90.00 degrees
Fractional positions:
La 0.1711 0.3289 0.0000
La 0.3289 0.8289 0.0000
La 0.6711 0.1711 0.0000
La 0.8289 0.6711 0.0000
Cd 0.1321 0.6321 0.5000
Cd 0.3679 0.1321 0.5000
Cd 0.6321 0.8679 0.5000
Cd 0.8679 0.3679 0.5000
In 0.0000 0.0000 0.5000
In 0.5000 0.5000 0.5000

(6)
# V3Ru

A crystal of V3Ru relaxed with PBEsol (SCAN, Alexandria via LeMat-Bulk).

## Properties
uncorrected energy	-22.20	eV/atom
space-group type	Fm-3m (225)
energy of formation	-0.374	eV per atom

Cell lengths 5.9050, 5.9050, 5.9050 Å; angles 90.00, 90.00, 90.00 degrees
Fractional positions:
V 0.0000 0.0000 0.0000
V 0.0000 0.5000 0.5000
V 0.2500 0.2500 0.2500
V 0.2500 0.2500 0.7500
V 0.2500 0.7500 0.2500
What changed?
Fast forward to May 2018. When I made my annual spring pilgrimage to Trail Road, I was informed they no longer composted yard waste because the city was now trucking it to the Orgaworld plant. Readers may recall the reason for this change. When implementing the green-bin plan for composting household organic waste, the city assumed an uptake of about 80,000 tonnes annually and structured its contract with Orgaworld accordingly. But initial uptake was only about 25,000 tonnes so the city began to pick up yard and household organic waste together rather than separately and deliver this mixed material to Orgaworld. More recently, with the stated objective of further increasing green-bin uptake, the city started to accept both dog poop and household organic waste in plastic bags, even though completely separating these non-compostable bags from organic waste after they have been mashed together in a garbage truck must be very difficult, if not impossible.
On the compost trail
Back at Trail Road in 2018, the attendant suggested that I try to source my compost directly from Orgaworld. I checked their website. It was surprisingly brief – just one page – and uninformative, though it did note that they pre-treat the waste in closed, odour-free tunnels for a week to start the composting process prior to piling it for curing (the single-stage process used previously for yard waste at Trail Road). I then called Orgaworld to check compost availability. I was told “Oh, we only start the composting process here – we cure it at a different site.” I was informed, much to my astonishment, that this site was in Pembroke! So our household organic waste, yard waste and dog poop are all delivered first to the east end of the city, then hauled in greenhouse-gas-belching diesel trucks 150 km back across the city to Pembroke. How green is this?
Pembroke is at the northern tip of the farmed portion of the Ottawa Valley. Surely some of those big trucks must be hauling the finished compost back to Ottawa where it is needed. But when I called the Pembroke site I was told “No, you have to come here to get it.” The cost of a pickup load was still only $25, but I would have to make a three-hour, 300-km round trip, burn $50 of fuel and generate a bunch of greenhouse gases to get it!
Dirty little secret
I have told others over the last year about my experience with Ottawa’s organic-waste recycling program, and no one was aware of the Pembroke connection. Politically, the Pembroke curing site seems to be Ottawa’s “dirty little green-bin secret.” What is green about a program that involves so much trucking? What is the extra cost of having to tunnel-process a large amount of benign yard waste only because it is now being mixed in our garbage trucks with a smaller amount of putrid, plastic-bagged green-bin waste? If the compost is fit for use on our yards, why is it being cured and stored at a site 150 km away rather than close to the Ottawa receiving plant? Is the Pembroke storage site just another waste-disposal site?
Instead of waiting for an invitation from Orgaworld to a sanitized, “feel-good” tour of the company’s Ottawa plant, Humphries and Menard may wish to gas up their vehicles, make the three-hour, 300-km round trip to Pembroke to the company’s compost storage.
Oh, and if you happen to find a clean pile of the old, pre-plastics compost, please bring back a few bags. I need it for my garden next spring!
Stu Averill is a Glebe resident, a geologist and a gardener.